Good Books!

As long as it takes to get me rooted in a story (to no fault of the books!), I keep wondering if this fiction thing is really for me.

But then I feel so fed when I finally get the chance to finish something.

Today’s accomplishment was Waking Rose, the third of three Fairytale Novels I first mentioned back in February.

_Attached: materials data_
____________
Entry 1:
This entry pairs a crystal structure of Pr2Ho9Tm3 with its theoretical powder X-ray diffraction pattern. Radiation: Cu Kα X-rays. Structure: a crystal structure in Alexandria, relaxed with PBE.
Neutral-atom scattering factors, no anomalous dispersion.

Peak list (8 most intense, 10° ≤ 2θ ≤ 80°, by angle)
| 2θ/deg | I_rel |
| --- | --- |
| 30.02 | 52 |
| 31.02 | 60 |
| 31.53 | 100 |
| 31.71 | 94 |
| 32.06 | 37 |
| 33.13 | 56 |
| 33.43 | 83 |
| 34.10 | 42 |

Crystal structure
Cell lengths 6.336, 8.734, 9.238 Å; angles 105.93, 104.85, 104.23 degrees
Element x y z (fractional)
Pr 0.000 0.000 0.000
Pr 0.120 0.438 0.053
Ho 0.231 0.865 0.295
Ho 0.262 0.363 0.710
Ho 0.397 0.288 0.377
Ho 0.427 0.790 0.807
Ho 0.551 0.223 0.032
Ho 0.571 0.696 0.445
Ho 0.657 0.129 0.672
Ho 0.806 0.064 0.331
Ho 0.837 0.578 0.748
Tm 0.082 0.951 0.639
Tm 0.680 0.645 0.090
Tm 0.995 0.522 0.414

Entry 2:
This entry pairs a crystal structure of NdSm14Dy with its theoretical powder X-ray diffraction pattern. Radiation: Cu Kα X-rays. Structure: a crystal structure in Alexandria, relaxed with PBE.
Neutral-atom scattering factors, no anomalous dispersion.

Peak list (8 most intense, 10° ≤ 2θ ≤ 80°, by angle)
| 2θ/deg | I_rel |
| --- | --- |
| 29.33 | 43 |
| 30.49 | 34 |
| 32.23 | 100 |
| 36.61 | 24 |
| 50.11 | 26 |
| 55.29 | 22 |
| 59.79 | 30 |
| 60.84 | 16 |

Crystal structure
Cell lengths 11.729, 7.281, 7.281 Å; angles 60.01, 90.00, 90.00 degrees
Element x y z (fractional)
Nd 0.000 0.000 0.000
Sm 0.000 0.000 0.499
Sm 0.000 0.499 0.000
Sm 0.249 0.666 0.666
Sm 0.250 0.167 0.666
Sm 0.250 0.666 0.167
Sm 0.251 0.167 0.167
Sm 0.500 0.334 0.334
Sm 0.500 0.334 0.833
Sm 0.500 0.833 0.334
Sm 0.500 0.833 0.833
Sm 0.749 0.167 0.167
Sm 0.750 0.167 0.666
Sm 0.750 0.666 0.167
Sm 0.751 0.666 0.666
Dy 0.000 0.499 0.499

Entry 3:
This entry pairs a crystal structure of Cs3InAg with its theoretical powder X-ray diffraction pattern. Radiation: Cu Kα X-rays. Structure: a crystal structure in Alexandria, relaxed with PBE.
Neutral-atom scattering factors, no anomalous dispersion.

Peak list (8 most intense, 10° ≤ 2θ ≤ 80°, by angle)
| 2θ/deg | I_rel |
| --- | --- |
| 12.15 | 23 |
| 21.13 | 74 |
| 24.45 | 100 |
| 34.84 | 79 |
| 41.11 | 38 |
| 43.02 | 29 |
| 56.51 | 38 |
| 62.48 | 28 |

Crystal structure
Cell lengths 7.283, 7.283, 7.283 Å; angles 90.00, 90.00, 90.00 degrees
Element x y z (fractional)
Cs 0.000 0.000 0.500
Cs 0.000 0.500 0.000
Cs 0.500 0.000 0.000
In 0.000 0.000 0.000
Ag 0.500 0.500 0.500

Entry 4:
This entry pairs a crystal structure of Tb3Ce4Ru4 with its theoretical powder X-ray diffraction pattern. Radiation: Cu Kα X-rays. Structure: a crystal structure in Alexandria, relaxed with PBE.
Neutral-atom scattering factors, no anomalous dispersion.

Peak list (8 most intense, 10° ≤ 2θ ≤ 80°, by angle)
| 2θ/deg | I_rel |
| --- | --- |
| 31.53 | 100 |
| 31.74 | 30 |
| 33.53 | 36 |
| 35.97 | 65 |
| 37.67 | 18 |
| 39.57 | 13 |
| 50.23 | 19 |
| 60.21 | 25 |

Crystal structure
____________

And yes, I will attempt to post reviews of these last two books. Here’s my review of the first: The Shadow of the Bear.

I have already put the fourth book by Regina Doman in my Amazon cart. Looking forward to purchasing it.

This lady has done what it is my heart’s cry to do: write about pure love, honor, relationships in the context of engaging action and even humor (!), through a lens/worldview that allows God his rightful place at the core of reality.

Should it please God (such a sweet phrase, and I’m sure it does), this is my ultimate goal in all my writing.

Snoop & Dragons

It’s a good thing I’m not in the habit of buying new books whenever I want them, since I’ve got two new ones on my wishlist now (more, actually, but today I’m talking about:).

Snoop and Imagine Dragons.

Snoop, by Sam Gosling, is a fascinating book about using *stuff* to explore personality and how personality might be read by observing an environment. It uses the “Big Five” model of personality-typing (where I read– like most people would expect– as an extrovert), and uses particular environmental cues connected to those 5 elements.

I am loving the contrast between this typing and the Myers-Briggs model, since they really tell me very different things about myself and others.  If I still like OCEAN after finishing this book I might big-five type my main characters to see the differences.

For example, just as I am an introvert according to the M-B definition and extrovert under OCEAN, I think my MC is the reverse.

One way I’m trying to say it so far is M-B is pretty good at describing behavior (especially putting it in context with a whole individual) while I’m guessing OCEAN is more useful at predicting behavior– though both can do either, of course.

The other book is what convinced me I could never go 100% to any of the digital platforms, though I’ve convinced myself that for non-picture books I’d actually like an e-reader: if I’m buying new anyway.

  • the book takes up less space physically
  • is usually cheaper (price would determine format choice) and
  • is easily searchable
    • Most of why I hang onto a book is because I *need* some perfect line or example at my fingertips.
      • this, BTW, is what is most traumatic about having all my book collection packed away.

My favorite part of Snoop so far was in the first chapter, where the author categorized the types of stuff that fill our spaces.

  • Identity Claims
    • others-directed (See: this is who/what I am)
    • self-directed (Remember: this is who/what I want to be)
  • Feeling Regulators
    • things that exist “not to send messages about our identities but specifically to manage our emotions and thoughts.”
  • Behavioral Residue (*Love* this label. Very convicting for me)
    • What is seen because of the way you live and the choices you make.

I’m also enjoying the exploration of what makes a relationship deeper (or deepen).  hint: it’s not information exchange.  But for my current situation (where I’m living in someone else’s house– I just don’t know whose, yet), it helped me understand why I feel less settled, despite my contentment with whatever.

Beginning to think of these three elements, especially in ratio to one another, gave a bit of definition to what I’m feeling about my home.

When I prepped the house, emptied it to a showing (neutral) state, I expected to surrender the first segment– Identity Claims.  It wasn’t that important to me anyway, since visits would be about the house, not me. (Pshaw, I don’t even exist!)

What I wasn’t aware of was the “Regulating” category. Turns out books and music are HUGE regulating factors for me. And with the shift I lost both: books packed away and computers in the back room, so the music system was gone as well.

The last three weeks have involved larger and larger trips from the library (along with some buying) and an evolution of mobile music (I’ve lost my iPod Nano!) that has, I think, settled at my laptop in the kitchen with a new Pandora station.

But it’s only been with the reading of this chapter that I understand my lengthy agitation. (One that I hope is now over!)

~ ~ ~

For something completely different, please consider

I wish I could show you some images from inside the book.  They are just amazing. All this wonderful interplay between line, color and texture. (And I’m not any sort of visual artist!)

Books like these convince me I could never go 100% digital, because *what* could replace my child(ren)’s experience of studying for minutes at a time a complex image like that?  Because that’s what they do when the text is being read: exploring the picture, discovering details.

This is a book I want in my collection!

_Unrelated to this article: data records_
- - -
This entry pairs a crystal structure of PmFeS with its theoretical powder XRD pattern. Radiation: copper Kα. Structure: a crystal structure in Alexandria, relaxed with PBE.

Peak list (8 most intense, 2θ = 15–90°, by intensity)
| d [Å] | Position (°2θ) | I (rel.) |
| --- | --- | --- |
| 2.274 | 39.6 | 1000 |
| 3.881 | 22.9 | 838 |
| 2.974 | 30.0 | 800 |
| 2.502 | 35.9 | 585 |
| 1.964 | 46.2 | 266 |
| 3.235 | 27.6 | 251 |
| 3.779 | 23.5 | 236 |
| 1.949 | 46.6 | 234 |

Cell and atoms:
```
6
Lattice="2.2741 1.3129 7.5585 -2.2741 1.3129 7.5585 0.0000 -2.6259 7.5585" Properties=species:S:1:pos:R:3 pbc="T T T"
Pm 0.0000 0.0000 1.9365
Pm 0.0000 0.0000 20.7389
Fe 0.0000 0.0000 7.3407
Fe 0.0000 0.0000 15.3347
S 0.0000 0.0000 4.9188
S 0.0000 0.0000 17.7565
```

This entry pairs a crystal structure of Pm4FeSn8 with its theoretical powder XRD pattern. Radiation: copper Kα. Structure: a crystal structure in Alexandria, relaxed with PBE.

Peak list (8 most intense, 2θ = 15–90°, by intensity)
| d [Å] | Position (°2θ) | I (rel.) |
| --- | --- | --- |
| 2.778 | 32.2 | 1000 |
| 2.284 | 39.4 | 183 |
| 2.796 | 32.0 | 176 |
| 2.243 | 40.2 | 174 |
| 1.377 | 68.1 | 137 |
| 1.396 | 67.0 | 126 |
| 1.600 | 57.6 | 123 |
| 1.769 | 51.7 | 94 |

Cell and atoms:
```
13
Lattice="4.4858 0.0000 0.0000 0.0000 4.5685 0.0000 0.0000 0.0000 16.7788" Properties=species:S:1:pos:R:3 pbc="T T T"
Pm 0.0000 0.0000 0.0000
Pm 0.0000 2.2843 8.2822
Pm 2.2429 0.0000 13.3061
Pm 2.2429 2.2843 4.9838
Fe 0.0000 2.2843 11.7574
Sn 0.0000 0.0000 5.5591
Sn 0.0000 0.0000 10.6758
Sn 0.0000 2.2843 2.4721
Sn 0.0000 2.2843 14.2682
Sn 2.2429 0.0000 2.5202
Sn 2.2429 0.0000 7.6504
Sn 2.2429 2.2843 10.6424
Sn 2.2429 2.2843 16.2630
```

=====

Simulated PXRD pattern of AcGe4 for Cu Kα, from a cell relaxed with GGA-PBE.
Intensities are scaled so that the largest is 100.

The 10 most intense peaks (2θ from 5° to 70°), low angle first:
| h k l | two_theta | I/Imax |
| --- | --- | --- |
| 2 0 -1 | 23.29 | 28 |
| 2 0 0 | 27.92 | 37 |
| 2 0 -2 | 31.53 | 45 |
| 1 1 1 | 31.97 | 80 |
| 0 2 1 | 33.68 | 58 |
| 1 1 -2 | 34.42 | 45 |
| 2 2 -1 | 36.75 | 100 |
| 3 1 0 | 44.87 | 27 |
| 1 1 -3 | 52.09 | 28 |
| 4 2 -3 | 61.67 | 32 |

```
data_AcGe4
_cell_length_a 7.6954
_cell_length_b 6.3666
_cell_length_c 5.8408
_cell_angle_alpha 90.00
_cell_angle_beta 123.85
_cell_angle_gamma 90.00
_symmetry_space_group_name_H-M 'C 1 2/m 1'
_symmetry_Int_Tables_number 12
_symmetry_space_group_name_Hall '-C 2y'
loop_
_atom_site_label
_atom_site_fract_x
_atom_site_fract_y
_atom_site_fract_z
Ac1 0.0000 0.0000 0.0000
Ge1 0.0000 0.2719 0.5000
Ge2 0.1602 0.5000 0.2721
```

=====

[1]
Computed X-ray powder pattern
Compound: Cr3GaFe3As2
Radiation: copper Kα
Structure: a DFT-relaxed cell (PBE, the Materials Project)
Kinematic intensities with the Lorentz-polarization factor, no thermal factor.

Unit cell a=6.0021 b=6.0021 c=3.8198 alpha=90.00 beta=90.00 gamma=120.00
Space group P-62m (No. 189)
Symmetry-distinct sites (fractional):
- - -

And you can believe I’ve already reserved this illustrator’s other books from my library. I am eager to see more of her work!

The book itself is a very respectable survey of dragons and lore– including stories well-summarized. The Eastern dragons may be said to be favored (commentary emphasizes they’re not-evil), but their depiction is naked enough to show them as no more kind or caring.

This was meaningful to me mainly because I like using them in discussions of dispassionate, elemental forces.

Yeah, I do that. Weird?

Anyway, I am trying to hold off on buying new books right now (at least, when they’re not inexpensive…), so I’m thankful for our library right now. It’s the patch on a big hole in my life.

from The Wounded Spirit by Frank Peretti

But wounds can fester. They can become infected, and then they infect others.

And then they can  change you because you haven’t merely cut your finger or bruised your knee. You’ve been wounded in your spirit, and that wound pierces deeply, painfully, sometimes permanently. As Proverbs 18:14 says, “The spirit of a man will sustain him in sickness, but who can bear a broken spirit?” When tough times or injuries come, we must be able to draw upon a reservoir of hope, faith, and self-confidence that God has stored up inside us through the love and encouragement of friends and family. If enemies, through cunning and cruelty, have plundered that reservoir, what will sustain us then?

Won’t God sustain us? Won’t He give us the grace we need? Don’t we find our hope and strength in Him? Won’t He get us through?

Absolutely. I wouldn’t be here today if God’s presence and grace were not ultimately provable.

But that’s the rub: To prove anything ultimately takes time and experience. You have to live it out for a while, sometimes a long while. A process is involved. Even now, in so many of our lives, there are issues to be resolved and wounds that have to be faced squarely, forgiven, and healed. Many of us adults have been carrying unhealed wounds since we were children.

The Shadow of the Bear — book review

Finally wrote another book review.

About the first of those books I wanted.

I’ve read two now, but with moving I’m feeling my own frailty, and the second book was too tenuous too long for me to be ready to spend the review time with it right now.

It was also good, and it was gratifying to see the writing mature from one book to the next, but… perhaps if you read them both you’ll understand what I mean.

Go. Find. Read.

Quite worth it.